Help content provides answers to common user questions about your app. Users can send comments, report bugs, and ask questions that are not already answered by the help content.
Help content provides answers to common user questions about your app. Users can send comments, report bugs, and ask questions that are not already answered by the help content.
Make it easy for users to find help content in your app.
Help content can be made accessible from various points in your app’s navigation, with options listed below. It is usually placed in the navigation drawer (or overflow menu) under the label “Help” or “Send feedback.”
If your app is complex, place “Help” both in the navigation drawer and the app bar.
To make it easy for users to get help, particularly if your app is complex, place “Help” in both the navigation drawer and app bar. Otherwise, place “Help” in the navigation drawer only, or the overflow menu.
Place “Help” as the last item in the navigation drawer, with “Send feedback” directly above it.
If “Sign out” appears in the navigation drawer, it should be the last item in the list.
## What comes next are crystal structures, not part of the article
# Zr7Ni10, optimized geometry, DFT PBE-GGA
data_Zr7Ni10
_chemical_formula_sum 'Zr28 Ni40'
_cell_length_a 12.400
_cell_length_b 9.174
_cell_length_c 9.234
_cell_angle_alpha 90.00
_cell_angle_beta 90.00
_cell_angle_gamma 90.00
_symmetry_space_group_name_H-M 'C m c e'
_symmetry_Int_Tables_number 64
_symmetry_space_group_name_Hall '-C 2ac 2'
loop_
_atom_site_label
_atom_site_fract_x
_atom_site_fract_y
_atom_site_fract_z
Zr1 0.000 0.000 0.000
Zr2 0.000 0.188 0.312
Zr3 0.191 0.000 0.500
Zr4 0.250 0.248 0.250
Ni1 0.000 0.106 0.606
Ni2 0.145 0.206 0.007
Ni3 0.146 0.006 0.793
# ΔE to the lowest computed polymorph = 0.000 eV per atom

---

# Zr2Ni7, optimized geometry, DFT PBE-GGA
data_Zr2Ni7
_chemical_formula_sum 'Zr4 Ni14'
_cell_length_a 4.691
_cell_length_b 8.232
_cell_length_c 6.289
_cell_angle_alpha 90.00
_cell_angle_beta 106.05
_cell_angle_gamma 90.00
_symmetry_space_group_name_H-M 'C 1 2/m 1'
_symmetry_Int_Tables_number 12
loop_
_symmetry_equiv_pos_as_xyz
'x,y,z'
'-x,-y,-z'
'-x,y,-z'
'x,-y,z'
'x+1/2,y+1/2,z'
'-x+1/2,-y+1/2,-z'
'-x+1/2,y+1/2,-z'
'x+1/2,-y+1/2,z'
loop_
_atom_site_label
_atom_site_fract_x
_atom_site_fract_y
_atom_site_fract_z
Zr1 0.107 0.000 0.272
Ni1 0.000 0.500 0.000
Ni2 0.126 0.334 0.344
Ni3 0.250 0.250 0.000
# ΔE to the lowest computed polymorph = 0.000 eV per atom

---

# Zr2Ni7, optimized geometry, DFT PBE-GGA
data_Zr2Ni7
_chemical_formula_sum 'Zr8 Ni28'
_cell_length_a 4.677
_cell_length_b 8.197
_cell_length_c 12.116
_cell_angle_alpha 90.00
_cell_angle_beta 95.65
_cell_angle_gamma 90.00
_symmetry_space_group_name_H-M 'C 1 2/m 1'
_symmetry_Int_Tables_number 12
loop_
_symmetry_equiv_pos_as_xyz
'x,y,z'
'-x,-y,-z'
'-x,y,-z'
'x,-y,z'
'x+1/2,y+1/2,z'
'-x+1/2,-y+1/2,-z'
'-x+1/2,y+1/2,-z'
'x+1/2,-y+1/2,z'
loop_
_atom_site_label
_atom_site_fract_x
_atom_site_fract_y
_atom_site_fract_z
Zr1 0.209 0.000 0.115
Zr2 0.233 0.500 0.614
Ni1 0.017 0.252 0.750
Ni2 0.195 0.333 0.078
Ni3 0.217 0.165 0.578
Ni4 0.239 0.500 0.250
# ΔE to the lowest computed polymorph = 0.004 eV per atom
# total magnetic moment = 0.001 μB per atom

---

# Zr7Ni10, optimized geometry, DFT PBE-GGA
data_Zr7Ni10
_chemical_formula_sum 'Zr28 Ni40'
_cell_length_a 9.134
_cell_length_b 9.146
_cell_length_c 12.367
_cell_angle_alpha 90.00
_cell_angle_beta 90.00
_cell_angle_gamma 90.00
_symmetry_space_group_name_H-M 'P b c a'
_symmetry_Int_Tables_number 61
loop_
_symmetry_equiv_pos_as_xyz
'x,y,z'
'-x,-y,-z'
'-x+1/2,-y,z+1/2'
'x+1/2,y,-z+1/2'
'x+1/2,-y+1/2,-z'
'-x+1/2,y+1/2,z'
'-x,y+1/2,-z+1/2'
'x,-y+1/2,z+1/2'
loop_
_atom_site_label
_atom_site_fract_x
_atom_site_fract_y
_atom_site_fract_z
Zr1 0.000 0.000 0.000
Zr2 0.000 0.001 0.309
Zr3 0.186 0.186 0.497
Zr4 0.247 0.249 0.246
Ni1 0.006 0.706 0.647
Ni2 0.013 0.708 0.356
Ni3 0.106 0.605 0.002
Ni4 0.207 0.007 0.144
Ni5 0.210 0.008 0.853
# ΔE to the lowest computed polymorph = 0.005 eV per atom
# total magnetic moment = 0.000 μB per atom

---

# Zr6Ni23, optimized geometry, DFT PBE-GGA
data_Zr6Ni23
_chemical_formula_sum 'Zr24 Ni92'
The navigation drawer showing “Help” and “Send feedback”
Place “Help” and “Feedback” (or “Send feedback”) in the overflow menu when there is no navigation drawer.
Next to the text, the page also holds crystal structures =
=====
Version A
Computed, not measured: K3TaO2F7 after structural relaxation at the PBE-GGA level of DFT.

Structure (CIF):
```
data_K3TaO2F7
_cell_length_a 7.252
_cell_length_b 14.109
_cell_length_c 9.521
_cell_angle_alpha 90.00
_cell_angle_beta 90.00
_cell_angle_gamma 90.00
_symmetry_space_group_name_H-M 'P 1'
_symmetry_Int_Tables_number 1
_symmetry_space_group_name_Hall 'P 1'
loop_
_atom_site_label
_atom_site_type_symbol
_atom_site_fract_x
_atom_site_fract_y
_atom_site_fract_z
K1 K 0.216 0.153 0.000
K2 K 0.227 0.158 0.474
K3 K 0.238 0.844 0.236
K4 K 0.262 0.344 0.736
K5 K 0.273 0.658 0.974
K6 K 0.284 0.653 0.500
K7 K 0.716 0.347 0.000
K8 K 0.727 0.342 0.474
K9 K 0.738 0.656 0.236
K10 K 0.762 0.156 0.736
K11 K 0.773 0.842 0.974
K12 K 0.784 0.847 0.500
Ta1 Ta 0.215 0.929 0.736
Ta2 Ta 0.285 0.429 0.236
Ta3 Ta 0.715 0.571 0.736
Ta4 Ta 0.785 0.071 0.236
O1 O 0.006 0.448 0.298
O2 O 0.015 0.446 0.154
O3 O 0.485 0.946 0.654
O4 O 0.494 0.948 0.798
O5 O 0.506 0.052 0.298
O6 O 0.515 0.054 0.154
O7 O 0.985 0.554 0.654
O8 O 0.994 0.552 0.798
F1 F 0.005 0.739 0.087
F2 F 0.011 0.281 0.908
F3 F 0.051 0.087 0.244
F4 F 0.162 0.929 0.534
F5 F 0.183 0.936 0.940
F6 F 0.193 0.066 0.733
F7 F 0.242 0.294 0.243
F8 F 0.258 0.794 0.743
F9 F 0.307 0.566 0.233
F10 F 0.317 0.436 0.440
F11 F 0.338 0.429 0.034
F12 F 0.449 0.587 0.744
F13 F 0.489 0.781 0.408
F14 F 0.495 0.239 0.587
F15 F 0.505 0.761 0.087
F16 F 0.511 0.219 0.908
F17 F 0.551 0.413 0.244
F18 F 0.662 0.571 0.534
F19 F 0.683 0.564 0.940
F20 F 0.693 0.434 0.733
F21 F 0.742 0.206 0.243
F22 F 0.758 0.706 0.743
F23 F 0.807 0.934 0.233
F24 F 0.817 0.064 0.440
F25 F 0.838 0.071 0.034
F26 F 0.949 0.913 0.744
F27 F 0.989 0.719 0.408
F28 F 0.995 0.261 0.587
```

Computed properties:
The volume is 18.73 Å³ per atom.

---

Version B
Computed, not measured: K3TaO2F7 after structural relaxation at the PBE-GGA level of DFT.

Structure (CIF):
```
data_K3TaO2F7
_cell_length_a 7.245
_cell_length_b 9.767
_cell_length_c 14.067
_cell_angle_alpha 90.00
_cell_angle_beta 90.00
_cell_angle_gamma 90.00
_symmetry_space_group_name_H-M 'P 1'
_symmetry_Int_Tables_number 1
_symmetry_space_group_name_Hall 'P 1'
loop_
_atom_site_label
_atom_site_type_symbol
_atom_site_fract_x
_atom_site_fract_y
_atom_site_fract_z
K1 K 0.218 0.016 0.152
K2 K 0.218 0.484 0.152
K3 K 0.235 0.250 0.827
K4 K 0.265 0.750 0.327
K5 K 0.282 0.516 0.652
K6 K 0.282 0.984 0.652
K7 K 0.718 0.016 0.348
K8 K 0.718 0.484 0.348
K9 K 0.735 0.250 0.673
K10 K 0.765 0.750 0.173
K11 K 0.782 0.516 0.848
K12 K 0.782 0.984 0.848
Ta1 Ta 0.211 0.750 0.928
Ta2 Ta 0.289 0.250 0.428
Ta3 Ta 0.711 0.750 0.572
Ta4 Ta 0.789 0.250 0.072
O1 O 0.013 0.181 0.444
O2 O 0.013 0.319 0.444
O3 O 0.487 0.681 0.944
O4 O 0.487 0.819 0.944
O5 O 0.513 0.181 0.056
O6 O 0.513 0.319 0.056
O7 O 0.987 0.681 0.556
O8 O 0.987 0.819 0.556
F1 F 0.001 0.086 0.729
F2 F 0.001 0.414 0.729
F3 F 0.056 0.250 0.087
F4 F 0.166 0.553 0.932
F5 F 0.166 0.947 0.932
F6 F 0.196 0.750 0.065
F7 F 0.246 0.250 0.293
F8 F 0.254 0.750 0.793
=====
So much for the crystal structures =
If “Sign out” appears in the overflow menu, it should be the last item in the list.
Overflow menu showing “Help” and “Send feedback”
To make it easier for users to find help for urgent issues, such as payments and refunds, place a Help icon in the app bar.
Desktop applications may also place a Help icon in the app bar, as there is more space in the desktop UI.
Help icon promoted in the app bar
A “Send feedback” button may be included in the help screen.
Content viewed less often (such as “About,” “Privacy,” and “Terms of service”) may be placed in an action overflow menu.
A help screen with frequently asked questions and answers and an action button to send feedback.
Help content should be relevant to the user’s current location in an app. For example, if a user is viewing their account information, the help content displayed should include information about accounts.
Take the user directly to help content upon selecting “Help” in your app.
Once a user selects “Help,” they should be taken directly to the “Help” menu.
After a user has selected “Help,” do not present a screen asking the user to choose between “Help” and other options.Occasionally, help content appears when users interact with an app for the first time, even though the user has not requested help. By offering unsolicited help, users don’t have to search the “Help” menu for answers on how to use new features. This kind of help often appears:
This type of help should be limited to new features and gesture education, as it could be interruptive and distracting.
Help and Feedback icons are displayed at 24dp.
Tooltip icons are 18dp.
On light backgrounds, icons have an opacity of 54%. On dark backgrounds they have an opacity of 100%.
Light theme | Opacity |
Active icon | 54% |
Inactive icon | 38% |
Dark theme | Opacity |
Active icon | 100% |
Inactive icon | 50% |
Use the standard Material Design icon for Help.
Don’t use icon variations, such as those with speech bubbles or circle outlines.
Use the standard Material Design icon for Send feedback.
Don’t use icon variations, such as chat or bug icons.
Use the standard Material Design icon for Help Tooltips.
Don’t use icon variations, including the Help icon, or icons with speech bubbles or outlines.
Help content lets users find answers to questions or problems that are unique to your app.
Consider these guidelines when writing help content:
Keep explanations as short as possible. Avoid giving details that aren’t relevant to typical usage. Answer one question or concern at a time.
Make help content easy to read by formatting text with bold headings, lists, tables, and space between paragraphs as needed.
-- Misplaced crystal structures --
'''
No. 1
Compound: NbPS
Source: Materials Project
Functional: PBE
Structure: optimized geometry

Values from the calculation:
Crystal system: orthorhombic
Total magnetization, μB/atom: 0.0000
Corrected total energy (MP2020 scheme), eV per atom: -7.52
Formation enthalpy at 0 K, eV per atom: -0.965

POSCAR file:
```
NbPS
1.0
-1.726 2.366 6.037
1.726 -2.366 6.037
1.726 2.366 -6.037
Nb P S
2 2 2
Direct
0.124 0.124 0.000 Nb
0.876 0.876 0.000 Nb
0.264 0.500 0.764 P
0.736 0.500 0.236 P
0.287 0.787 0.500 S
0.713 0.213 0.500 S
```



No. 2
Compound: Ti2CrTe4
Source: Materials Project
Functional: PBE
Structure: optimized geometry

Values from the calculation:
Crystal system: monoclinic
Total magnetization, μB/atom: 0.5780
Corrected total energy (MP2020 scheme), eV per atom: -6.19
Formation enthalpy at 0 K, eV per atom: -0.760

POSCAR file:
```
Ti2CrTe4
1.0
7.083 -1.973 0.000
7.083 1.973 0.000
-3.454 0.000 6.189
Ti Cr Te
2 1 4
Direct
0.000 0.000 0.000 Ti
0.242 0.242 0.273 Ti
0.499 0.499 0.560 Cr
0.133 0.133 0.822 Te
0.361 0.361 0.726 Te
0.611 0.611 0.315 Te
0.876 0.876 0.240 Te
```



No. 3
Compound: TbMgTl2
Source: Materials Project
Functional: PBE
Structure: optimized geometry

Values from the calculation:
Crystal system: cubic
Total magnetization, μB/atom: 0.0005
Formation enthalpy at 0 K, eV per atom: -0.216

POSCAR file:
```
TbMgTl2
1.0
0.000 3.742 3.742
3.742 0.000 3.742
3.742 3.742 0.000
Tb Mg Tl
1 1 2
Direct
0.000 0.000 0.000 Tb
0.500 0.500 0.500 Mg
0.250 0.250 0.250 Tl
0.750 0.750 0.750 Tl
```



No. 4
Compound: TbP2H9O11
Source: Materials Project
Functional: PBE
Structure: optimized geometry

Values from the calculation:
Crystal system: monoclinic
Total magnetization, μB/atom: 0.0000
Corrected total energy (MP2020 scheme), eV per atom: -6.41
Formation enthalpy at 0 K, eV per atom: -2.044

POSCAR file:
```
TbP2H9O11
1.0
6.619 0.000 0.000
0.000 11.508 0.000
-6.341 0.000 11.894
Tb P H O
4 8 36 44
Direct
0.081 0.082 0.335 Tb
0.081 0.418 0.835 Tb
0.919 0.582 0.165 Tb
0.919 0.918 0.665 Tb
0.182 0.634 0.664 P
0.182 0.866 0.164 P
0.391 0.049 0.641 P
0.391 0.451 0.141 P
0.609 0.549 0.859 P
0.609 0.951 0.359 P
0.818 0.134 0.836 P
0.818 0.366 0.336 P
0.053 0.634 0.961 H
0.053 0.866 0.461 H
0.165 0.617 0.419 H
0.165 0.883 0.919 H
0.177 0.741 0.376 H
0.177 0.759 0.876 H
0.200 0.165 0.813 H
0.200 0.335 0.313 H
0.251 0.012 0.071 H
0.251 0.488 0.571 H
0.261 0.208 0.056 H
0.261 0.292 0.556 H
0.318 0.614 0.003 H
0.318 0.886 0.503 H
0.386 0.242 0.799 H
0.386 0.258 0.299 H
0.500 0.142 0.109 H
0.500 0.358 0.609 H
0.500 0.642 0.391 H
0.500 0.858 0.891 H
0.614 0.742 0.701 H
0.614 0.758 0.201 H
0.682 0.114 0.497 H
0.682 0.386 0.997 H
0.739 0.708 0.444 H
0.739 0.792 0.944 H
0.749 0.512 0.429 H
0.749 0.988 0.929 H
0.800 0.665 0.687 H
0.800 0.835 0.187 H
0.823 0.241 0.124 H
0.823 0.259 0.624 H
0.835 0.117 0.081 H
0.835 0.383 0.581 H
0.947 0.134 0.539 H
0.947 0.366 0.039 H
0.038 0.558 0.698 O
0.038 0.942 0.198 O
0.105 0.743 0.131 O
0.105 0.757 0.631 O
0.169 0.622 0.934 O
'''
In particular, when referring to elements that users need to select, such as buttons or links, bold the label names when referring to them in help content.
Headings clearly outline an article’s content. They help readers scan the page to quickly find the information they need.
Avoid using technical terms in help content where possible.
When providing step-by-step instructions, show relevant images or icons to explain what the user needs to do.